yeah, considering that is a painted clay proto that was just finished yesterday, i would say he was definitely aware of the other "hot" version being put out by the gorilla-ju guy. with that being said, i have absolutely no problem with it whatsoever. maybe if hirota made it even slightly possible to score one of his figures here it would be different, but with the only way to snag one being dropping 60K yen on YJA, i say go for it TE. this way maybe those who want a mecha gorilla can actually buy one it would be different if this were an original character, but considering TE licensed it properly, i say no foul and hirota shouldn't be too salty because his version looks way better. still cool to have an accessible take on the character
This is my take too (although I do think there's a bit of a "foul" just based on TE's history). If people find this to be an acceptable stand-in then great for them. Personally I think the sculpt is bland - beyond bland. But it fits right in with everything TE has done - it's a poor "rip off" of a character that's recently become popular due to someone else's vision. Mecha Ju or nothing for me.
I think it's funny that we accept vinyl toy makers that basically rip off other folks' artwork and/or vintage toy designs without any attribution whatsoever. But when T-E (or another Marmit sub) comes along, actually licenses (presumably) the same work and produces their own toy, people call foul. I understand the sentiment, but it's kind of a backwards way of viewing the process. And I'm sure the artists appreciate the acknowledgement and (maybe) royalties from Marmit.
### Unrelated to this entry: records of crystals
+++
# 1
Structure and calculated powder diffraction line list of Na6NbAs4 (the GGA-PBE geometry in Alexandria; Cu Kα, 1.54184 Å).

Cell lengths 9.5935, 9.5935, 7.3069 Å; angles 90.00, 90.00, 120.00 degrees
Space group P6_3mc (No. 186)
One atom of each set of equivalent atoms:
Na  0.0602  0.5301  0.0000
Na  0.1463  0.2926  0.3183
Nb  0.3333  0.6667  0.6190
As  0.1899  0.3798  0.7195
As  0.3333  0.6667  0.2797

The 10 most intense peaks (5 to 70 degrees two-theta), sorted by position:
2theta  I (rel.)  h k l
10.65  79.2  1 0 0
16.15  85.5  1 0 1
21.39  57.2  2 0 0
24.36  37.7  0 0 2
24.65  53.8  2 0 1
31.00  50.0  2 1 1
32.64  71.2  2 0 2
34.64  33.1  3 0 1
37.50  100.0  2 2 0
43.05  46.8  2 0 3

---

# 2
Structure and calculated powder diffraction line list of K2PuInBr8 (the GGA-PBE geometry in Alexandria; Cu Kα, 1.54184 Å).

Cell lengths 7.1119, 8.7949, 7.3756 Å; angles 90.00, 93.59, 90.00 degrees
Space group P2/m (No. 10)
One atom of each set of equivalent atoms:
K  0.0000  0.2438  0.0000
Pu  0.5000  0.5000  0.5000
In  0.5000  0.0000  0.5000
Br  0.2771  0.5000  0.1715
Br  0.2788  0.2398  0.6252
Br  0.3011  0.0000  0.1887

The 10 most intense peaks (5 to 70 degrees two-theta), sorted by position:
2theta  I (rel.)  h k l
12.02  75.5  0 0 1
12.47  89.9  1 0 0
16.80  73.3  1 0 -1
17.89  37.0  1 0 1
23.80  52.8  1 2 0
26.38  99.9  1 2 -1
28.00  52.4  1 0 2
34.11  100.0  2 2 -1
41.05  35.1  0 4 0
42.17  54.8  0 2 3

---

# 3
Structure and calculated powder diffraction line list of RbPmPdF6 (the GGA-PBE geometry in Alexandria; Cu Kα, 1.54184 Å).

Cell lengths 8.0163, 8.4997, 11.6107 Å; angles 90.00, 90.00, 90.00 degrees
Space group Imma (No. 74)
One atom of each set of equivalent atoms:
Rb  0.0000  0.2500  0.0480
Pm  0.0000  0.0000  0.5000
Pd  0.2500  0.2500  0.7500
F  0.0000  0.2500  0.4266
F  0.0000  0.2500  0.8179
F  0.2147  0.0660  0.6162

The 10 most intense peaks (5 to 70 degrees two-theta), sorted by position:
2theta  I (rel.)  h k l
12.91  59.8  0 1 1
13.42  30.6  1 0 1
24.92  100.0  1 2 1
25.29  28.7  0 1 3
25.74  37.2  2 1 1
25.98  31.4  0 2 2
27.03  78.5  2 0 2
44.02  31.7  2 2 4
46.47  28.4  2 1 5
51.13  28.2  2 4 2

---

# 4
Structure and calculated powder diffraction line list of K3Tb3NpTe8 (the GGA-PBE geometry in Alexandria; Cu Kα, 1.54184 Å).

Cell lengths 8.9301, 8.9301, 25.1289 Å; angles 90.00, 90.00, 120.00 degrees
Space group R-3m (No. 166, hexagonal axes)
One atom of each set of equivalent atoms:
K  0.0000  0.5000  0.0000
Tb  0.0000  0.5000  0.5000
Np  0.0000  0.0000  0.5000
Te  0.0000  0.0000  0.2364
Te  0.0016  0.5008  0.2353

The 10 most intense peaks (5 to 70 degrees two-theta), sorted by position:
2theta  I (rel.)  h k l
10.56  64.5  0 0 3
27.08  100.0  0 2 4
34.08  24.3  0 2 7
36.87  35.2  2 0 8
40.40  36.6  2 2 0
41.88  14.7  2 2 3
46.15  15.4  2 0 11
49.31  19.1  4 0 4
60.63  11.0  2 2 12
65.58  16.1  2 4 4

---

Repeat the third record exactly.
+++
From the translation I also got that there will be two mini sofubi parts included. Hmm interesting, wonder what those will be? I had my agent pre order it.
I certainly can see your point. Please let me clarify. My opinion on this is just based on my feelings as a collector. I appreciate a maker, HxS in this case, digging up an old gem and bringing it to life in vinyl. As a collector, I am unconcerned with the legalities or ethics behind the toys production. I don't care if it's licensed or bootlegged or whatever. I'm a remorseless vinyl hoarder with no conscience. Blood vinyls FTW! I can only speculate about what has gone on behind the scenes. I have no clue who is holding a license for what. I do tend to root for the guys in the black hats though. In fact, two of my favorite APE toys were bootlegged by an infamous unofficial Marmit subsidiary. I'm sure the folks at Toho don't feel as good about those toys as I do.
are we saying toy makers actually get rich doing this now? I don't understand the hate. Maybe the TE dude just gets inspired seeing other cool toys and wants to make his own version? How do we know the 2 makers aren't friends and had discussed each making a version of the gorilla? I don't think this is as shady as it may appear. TE is one of the best toy makers out there.
The way I see it, though obviously the law might disagree, if you find a toy from 30+ years ago you're free to copy/bootleg it however you'd like. I'm making the assumption that the anonymous dudes who worked at IKB/Daikyo/etc. got paid for their work and moved on to other things or retired (I guess Mr. Goto would be an exception). Someone is getting royalties for the Hukkokudo reissues but they don't seem all that interested in claiming credit or going after Gargamel. To me it's a little different when a toy maker who is actively participating in our "scene" or whatever is getting their stuff ripped off. It must be a huge financial risk for some of these guys to get their toys made and having a similar (cheaper) toy on the shelf next to yours just months after your debut must really take the fun out of it. It doesn't matter much for HS because at the moment he can sell everything he makes, but if he's in it for the long term he needs every customer he can get, especially if he really just built his own factory.
wasn't it Hukkokudo who did all the, "bootlegging"? I always thought that was just kind of what they did as a company. I thought it was public knowledge that they were buying up old molds to remake toys? Either way, I don't see the crime in any of it. There are other companies who have done similar things by making their own version of a classic character. I guess I just think of it as a way of celebrating the hobby.
~~~
For Sr2NpI8, a cell relaxed with PBE gives the simulated powder diffractogram in this record (a wavelength of 1.5418 Å).
Neutral-atom scattering factors, no anomalous dispersion.

Top 10 peaks for 10° ≤ 2θ ≤ 90°, by intensity:
- hkl 0 2 1, 2θ = 24.72°, rel. 100
- hkl 2 2 0, 2θ = 36.19°, rel. 56
- hkl 2 0 2, 2θ = 34.27°, rel. 52
- hkl 1 0 0, 2θ = 10.29°, rel. 47
- hkl 1 1 0, 2θ = 17.87°, rel. 42
- hkl 1 2 2, 2θ = 38.91°, rel. 35
- hkl 1 2 1, 2θ = 30.67°, rel. 29
- hkl 0 1 1, 2θ = 16.94°, rel. 28
- hkl 0 0 2, 2θ = 27.04°, rel. 19
- hkl 2 2 2, 2θ = 45.75°, rel. 18

Crystal structure
a b c (Å): 9.9277 9.9277 6.5953
angles (deg): 90.00 90.00 120.00
Space group P-3m1 (No. 164)
Symmetry-distinct sites (fractional):
Sr  0.3333  0.6667  0.1931 x2
Np  0.0000  0.0000  0.0000 x1
I  0.1448  0.2896  0.2546 x6
I  0.3333  0.6667  0.7005 x2

~~~~~

(1)
Starting from a structure optimized by DFT (PBE), the powder XRD pattern of LuAgPbS3 was computed for Cu Kα X-rays.

Structure:
```
data_LuAgPbS3
_chemical_formula_sum 'Lu4 Ag4 Pb4 S12'
_cell_length_a 3.9761
_cell_length_b 13.1709
_cell_length_c 10.2664
_cell_angle_alpha 90.00
_cell_angle_beta 90.00
_cell_angle_gamma 90.00
_symmetry_space_group_name_H-M 'C m c m'
_symmetry_Int_Tables_number 63
_symmetry_space_group_name_Hall '-C 2c 2'
loop_
_atom_site_label
_atom_site_type_symbol
_atom_site_fract_x
_atom_site_fract_y
_atom_site_fract_z
Lu1 Lu 0.0000 0.0000 0.0000
Ag1 Ag 0.0000 0.4585 0.2500
Pb1 Pb 0.0000 0.2537 0.7500
S1 S 0.0000 0.0839 0.2500
S2 S 0.0000 0.3622 0.0437
```

Largest 8 diffraction maxima, low angle first, 2θ = 10–80°:
hkl 0 2 2, 21.95 deg, d = 4.049 Å, I = 72; hkl 0 4 0, 27.08 deg, d = 3.293 Å, I = 42; hkl 1 1 2, 29.21 deg, d = 3.058 Å, I = 55; hkl 1 3 1, 31.58 deg, d = 2.833 Å, I = 100; hkl 0 0 4, 34.96 deg, d = 2.567 Å, I = 55; hkl 1 3 2, 35.11 deg, d = 2.556 Å, I = 58; hkl 1 3 3, 40.39 deg, d = 2.233 Å, I = 41; hkl 0 6 2, 44.90 deg, d = 2.019 Å, I = 60



(2)
Starting from a structure optimized by DFT (PBE), the powder XRD pattern of TaTlCuPd was computed for Cu Kα X-rays.

Structure:
```
data_TaTlCuPd
_chemical_formula_sum 'Ta4 Tl4 Cu4 Pd4'
_cell_length_a 6.4626
_cell_length_b 6.4626
_cell_length_c 6.4626
_cell_angle_alpha 90.00
_cell_angle_beta 90.00
_cell_angle_gamma 90.00
_symmetry_space_group_name_H-M 'F -4 3 m'
_symmetry_Int_Tables_number 216
_symmetry_space_group_name_Hall 'F -4 2 3'
loop_
_atom_site_label
_atom_site_type_symbol
_atom_site_fract_x
_atom_site_fract_y
_atom_site_fract_z
Ta1 Ta 0.0000 0.0000 0.0000
Tl1 Tl 0.0000 0.0000 0.5000
Cu1 Cu 0.2500 0.2500 0.7500
Pd1 Pd 0.2500 0.2500 0.2500
```

Largest 8 diffraction maxima, low angle first, 2θ = 10–80°:
~~~
End of the data records
Well the thing is it really is a big Marmit extended family for both companies right? It was rumored (a long time ago) that Target Earth had a connection to Marmit, either Sato worked for them, did some sculpting, something. Hukkokudo came about strictly AS a reprint toy. Their name actual means reprint toy I believe. They bought the original molds and reproduced older IKB, Daikyo, Miura toys. I for one am thankful they started this because I'd never be able to afford or find vintage toys in that great a shape. Target Earth in the past year or two TOOK OVER Hukkokudo and started cranking out older molds by Yonezawa & Daikyo such as Uchugenjin, Ceratosaurus, Gamegon etc. It's still under the name Hukkokudo but it is being done by Target Earth's Sato. That's why the original Hukkokudo runs were easier to find. Target Earth does pretty limited made to order runs. Target Earth's original sculpts are hit and miss. I mean Gamerudon? Gebora? Remember they did the Gate Guard Karakk? That was cool. Sometimes not- Bemon etc etc. Well that really was like this, original character- their interpretation. I do like this one though. I mean I have a ton of different hedorah in my collection, different mecha kong will be fine by me.
Well I remember way back when Hukkokudo announced that they were doing a Smogun 2go/bemon. I got pretty excited, thinking that they had found an old mold or something. Eventually it moved over to being a Target Earth project I assume to keep Hukkokudo strictly for reissues, pretty disappointing but at least they tried something new with the sculpt.
got this image earlier today so thought i would share for those who care to see the test paint on large Target Earth Kusogon.. i think the blog is wrong, it says 25 inches tall or is that the next monster? the beaK unpainted GID is sold out & some releases of Target Earth Kusogon are for Japan only but i am trying to import Faceless Bull, Gaichan & a few others. shoot me a pm if you want more info
Target Earth loves old time Sci-Fi monsters & we both love old pachi-kaiju. really looking forward to PAZUZU tho, you seen that yet? INSANITY i am still hoping this other vintage pollution monster gets released too, this is just the Marmit prototype
Not into their MechaKong, don't hate it just don't love it. The Maza-type thing is cool, nice and chunky. That Kusogon biggun though, ugh, AWESOME! Makes me crave some original versions too to go with it. Those 2 heads are cool too, thanks for the pics/info kichigai!
Between two parts of the piece: data records:
____________
Starting from a DFT-relaxed cell (GGA-PBE, Alexandria), the PXRD pattern of NdAl3Br12 was computed for Cu Kα.
Intensities are scaled so that the largest is 100.

Structural model:
```
NdAl3Br12
1.0
11.153 0.000 0.000
-5.576 9.658 0.000
0.000 0.000 18.932
Nd Al Br
3 9 36
Direct
0.000 0.753 0.167
0.247 0.247 0.500
0.753 0.000 0.833
0.000 0.073 0.667
0.073 0.000 0.333
0.286 0.663 0.233
0.337 0.623 0.566
0.377 0.714 0.899
0.623 0.337 0.434
0.663 0.286 0.767
0.714 0.377 0.101
0.927 0.927 0.000
0.039 0.208 0.768
0.050 0.187 0.368
0.069 0.620 0.283
0.138 0.950 0.035
0.169 0.961 0.434
0.187 0.050 0.632
0.189 0.730 0.867
0.197 0.661 0.638
0.208 0.039 0.232
0.212 0.492 0.465
0.270 0.460 0.200
0.281 0.788 0.131
0.339 0.536 0.972
0.380 0.449 0.617
0.449 0.380 0.383
0.460 0.270 0.800
0.464 0.803 0.305
0.492 0.212 0.535
0.508 0.719 0.798
0.536 0.339 0.028
0.540 0.811 0.534
0.551 0.931 0.950
0.620 0.069 0.717
0.661 0.197 0.362
0.719 0.508 0.202
0.730 0.189 0.133
0.788 0.281 0.869
0.792 0.831 0.101
0.803 0.464 0.695
0.811 0.540 0.466
0.813 0.862 0.702
0.831 0.792 0.899
0.862 0.813 0.298
0.931 0.551 0.050
0.950 0.138 0.965
0.961 0.169 0.566
```

Peak list (10 most intense, 10 to 90 degrees two-theta, in order of rising 2θ)
d_spacing	Position (°2θ)	I/Imax	hkl
8.604	10.28	100.0	0 1 1
6.761	13.10	25.6	1 0 2
5.576	15.89	19.0	1 1 0
3.835	23.19	20.4	0 2 3
3.585	24.84	22.6	1 2 1
3.380	26.37	19.9	2 0 4
3.160	28.24	42.5	1 2 3
3.048	29.30	17.9	0 3 2
2.980	29.99	27.7	0 2 5
2.675	33.49	26.2	2 2 2

~~~~~

[1]
Starting from a DFT-relaxed cell (GGA-PBE, OQMD), the powder X-ray diffraction pattern of BaLi3Nd2Pb3 was simulated for CuKα.
Kinematic intensities with the Lorentz-polarization factor, no thermal factor.

Cell and atoms:
a b c (Å): 4.9330 4.9330 12.1392
angles (deg): 90.00 90.00 120.00
Space group P-6m2 (No. 187)
Unique sites:
Ba (0.0000, 0.0000, 0.0000) (multiplicity 1)
Li (0.3333, 0.6667, 0.5000) (multiplicity 1)
Li (0.6667, 0.3333, 0.2131) (multiplicity 2)
Nd (0.0000, 0.0000, 0.3424) (multiplicity 2)
Pb (0.3333, 0.6667, 0.2058) (multiplicity 2)
Pb (0.6667, 0.3333, 0.5000) (multiplicity 1)

The 10 most intense peaks (2θ = 5–70°), by angle:
2θ = 22.06°, 4.030 Å, intensity 34, hkl 1 0 1
2θ = 25.50°, 3.493 Å, intensity 75, hkl 1 0 2
2θ = 30.43°, 2.938 Å, intensity 100, hkl 1 0 3
2θ = 36.43°, 2.466 Å, intensity 74, hkl 1 1 0
2θ = 42.84°, 2.111 Å, intensity 23, hkl 1 0 5
2θ = 44.99°, 2.015 Å, intensity 17, hkl 2 0 2
2θ = 48.17°, 1.889 Å, intensity 28, hkl 2 0 3
2θ = 59.21°, 1.560 Å, intensity 15, hkl 2 1 2
2θ = 61.87°, 1.500 Å, intensity 27, hkl 2 1 3
2θ = 65.54°, 1.424 Å, intensity 17, hkl 3 0 0

=====

[2]
Starting from a DFT-relaxed cell (GGA-PBE, OQMD), the powder X-ray diffraction pattern of Ba3Li4Ni was simulated for CuKα.
Kinematic intensities with the Lorentz-polarization factor, no thermal factor.

Cell and atoms:
a b c (Å): 7.1736 9.3550 7.6332
angles (deg): 90.00 90.00 90.00
Space group Imm2 (No. 44)
Unique sites:
____________
The piece goes on:
then there is this mashup! i have not been able to sleep right since i saw its grotesque form a few weeks ago.. sofuvi possession? trying to find out if this version will be produced